
菠菜网lol正规平台 Students posing for the camera.

_The entry is interrupted by data records_
- - -
1.
This record from Alexandria via LeMat-Bulk describes PrSmEr5Th2 after structural relaxation. The functional is PBE.

Summary:
ΔE_f ... 325 meV/atom
ρ ... 8.84 g cm⁻³

Cell: 8.8982 8.8982 9.8276 Å, 116.92 116.92 90.00°
Last column: nearest neighbours and their distance in Å.
Positions (direct):
Th1 0.1182 0.3818 0.0000  1 Th 2.97, 2 Er 3.02
Th2 0.3818 0.8818 0.0000  1 Th 2.97, 2 Er 3.02
Th3 0.6182 0.1182 0.0000  1 Th 2.97, 2 Er 3.02
Th4 0.8818 0.6182 0.0000  1 Th 2.97, 2 Er 3.02
Er1 0.4301 0.3429 0.2730  1 Th 3.02, 1 Sm 3.11
Er2 0.6571 0.1571 0.7270  1 Th 3.02, 1 Sm 3.11
Er3 0.1571 0.0699 0.7270  1 Th 3.02, 1 Sm 3.11
Er4 0.9301 0.4301 0.2730  1 Th 3.02, 1 Sm 3.11
Er5 0.0000 0.0000 0.0000  4 Th 3.56, 2 Pr 3.77, 8 Er 3.80
Er6 0.3429 0.8429 0.2730  1 Th 3.02, 1 Sm 3.11
Er7 0.8429 0.9301 0.2730  1 Th 3.02, 1 Sm 3.11
Er8 0.5000 0.5000 0.0000  4 Th 3.56, 2 Pr 3.77, 8 Er 3.80
Er9 0.0699 0.5699 0.7270  1 Th 3.02, 1 Sm 3.11
Er10 0.5699 0.6571 0.7270  1 Th 3.02, 1 Sm 3.11
Sm1 0.2500 0.7500 0.5000  4 Er 3.11
Sm2 0.7500 0.2500 0.5000  4 Er 3.11
Pr1 0.7500 0.7500 0.5000  10 Er 3.62-3.77
Pr2 0.2500 0.2500 0.5000  10 Er 3.62-3.77

---

2.
This record from Alexandria via LeMat-Bulk describes PrSm3ErTh after structural relaxation. The functional is PBE.

Summary:
ΔE_f ... 31 meV/atom
ρ ... 8.20 g cm⁻³

Cell: 5.1155 8.0919 10.8304 Å, 116.44 90.00 90.00°
Last column: nearest neighbours and their distance in Å.
Positions (direct):
Pr1 0.7500 0.8779 0.7075  3 Er 3.60-3.61, 8 Sm 3.62-3.71, 1 Th 3.63
Pr2 0.2500 0.1221 0.2925  3 Er 3.60-3.61, 8 Sm 3.62-3.71, 1 Th 3.63
Sm1 0.2500 0.6153 0.7946  3 Th 3.53-3.54, 1 Er 3.53, 6 Sm 3.61-3.76, 2 Pr 3.71
Sm2 0.7500 0.8656 0.0443  3 Th 3.52-3.56, 1 Er 3.53, 5 Sm 3.62-3.76, 3 Pr 3.62-3.69
Sm3 0.2500 0.6282 0.4556  3 Er 3.58-3.62, 1 Th 3.59, 5 Sm 3.61-3.72, 3 Pr 3.63-3.67
Sm4 0.7500 0.3718 0.5444  3 Er 3.58-3.62, 1 Th 3.59, 5 Sm 3.61-3.72, 3 Pr 3.63-3.67
Sm5 0.2500 0.1344 0.9557  3 Th 3.52-3.56, 1 Er 3.53, 5 Sm 3.62-3.76, 3 Pr 3.62-3.69
Sm6 0.7500 0.3847 0.2054  3 Th 3.53-3.54, 1 Er 3.53, 6 Sm 3.61-3.76, 2 Pr 3.71
Er1 0.7500 0.8717 0.3721  5 Sm 3.53-3.62, 3 Pr 3.60-3.61, 2 Th 3.62, 2 Er 3.66
Er2 0.2500 0.1283 0.6279  5 Sm 3.53-3.62, 3 Pr 3.60-3.61, 2 Th 3.62, 2 Er 3.66
Th1 0.7500 0.3792 0.8780  7 Sm 3.52-3.59, 2 Th 3.57, 2 Er 3.62, 1 Pr 3.63
Th2 0.2500 0.6208 0.1220  7 Sm 3.52-3.59, 2 Th 3.57, 2 Er 3.62, 1 Pr 3.63

---

3.
This record from Alexandria via LeMat-Bulk describes Pr2SmEr2Th2 after structural relaxation. The functional is PBE.

Summary:
ΔE_f ... 243 meV/atom
ρ ... 8.26 g cm⁻³

Cell: 5.6260 6.5918 11.6511 Å, 134.41 90.00 115.26°
Last column: nearest neighbours and their distance in Å.
Positions (direct):
Sm1 0.0000 0.0000 0.5000  2 Er 3.28, 4 Th 3.66
Er1 0.5675 0.1350 0.1804  1 Er 3.13, 1 Sm 3.28, 3 Th 3.30-3.32, 1 Pr 3.44
Er2 0.4325 0.8650 0.8196  1 Er 3.13, 1 Sm 3.28, 3 Th 3.30-3.32, 1 Pr 3.44
Th1 0.7545 0.5091 0.5860  3 Er 3.30-3.32, 1 Pr 3.38, 2 Th 3.41, 2 Sm 3.66
- - -
_So much for the data records_


学生在圣何塞州立大学的时间是关于发现的,无论是内部还是外部 教室. Through shared experiences with peers, service to the community, and acts of creation, recreation and cohabitation, discover who 你 want to be.


相关学生, home of 菠菜网lol正规平台's student government.


学生政府之家,塞萨尔·查韦斯社区行动中心,儿童发展 中心,综合服务中心,印刷和技术中心以及运输解决方案, 相关学生 (A/S) is here to enhance 你r experience!

菠菜网lol正规平台 student organization, Grupo Folklorico.

Student Organizations

在30,000斯巴达人中找到你的位置,这里有近450个公认的学生组织 从文化团体和希腊生活到数百个特别活动 利益集团.

Council of fraternities and sororities event at 菠菜网lol正规平台.

Fraternities and Sororities

自1898年以来,菠菜网lol正规平台的兄弟会和姐妹会提供了一个充满乐趣的氛围 友谊,社区服务和个人发展使大学生活 a memorable experience.

African American College Readiness Summit.

Black Leadership and Opportunity Center

黑人领导和机会中心是菠菜网lol正规平台黑人学生生活的中心. 我们提供文化节目、专业发展和学术活动 that promote community building and overall student success.

凯撒E. Chavez Community Action Center at the Student Union.

Cesar Chavez Community Action Center

作为学生联合会的一部分,CCCAC为菠菜网lol正规平台学生提供社区服务机会 这加深了他们的教育经历,同时促进了对公民的终身承诺 激进主义和社会正义,这是塞萨尔·查韦斯遗产的核心.

菠菜网lol正规平台 students at the Chicanx/Latinx Fall Welcome.

Chicanx/Latinx Student Success Center

Chicanx/拉丁裔学生成功中心是一个响应和文化相关的中心 学术成功中心致力于提供包容和欢迎的社区空间.

Cyber Spartans Encourage Next Generation of Coders.

Center for Community Learning 和领导能力

CCLL提倡服务学习和社区参与,与学生合作, 教职员工和社区组织的学术进步和服务 共同利益.

Students from the 性别平等中心 at the Rainbow Graduation.


性别平等中心致力于赋予学生权力,并对校园进行性别教育 社会面临的问题.

Military and Veteran students in the 教室.

Veterans Resource Center

退伍军人资源中心自豪地支持所有退伍军人,预备役军人,现役军人 personnel and veteran dependents.

Students entering the MOSAIC Cross Cultural Center at the Student Union.

MOSAIC Cross Cultural Center

MOSAIC跨文化中心为来自香港的学生提供支持服务和宣传 历史上未被充分代表的身份群体,以及校园项目和活动.

Students promoting the Pride Center, an 菠菜网lol正规平台 Student Organization.


PRIDE中心致力于为LGBTIQQA学生改善校园氛围,倡导 for the respect and safety of all members of the 菠菜网lol正规平台 community.

UndocuSpartan资源中心项目协调员Navarrete Avina说.

UndocuSpartan Student Resource Center

UndocuSpartan学生资源中心提供经济援助资源和法律 support for undocumented students.

Students crossing the street and 一个 skateboarding with masks on.


发现菠菜网lol正规平台是我们的数字平台,可以复制您可能发现的机会 as 你 travel across campus. This dashboard will update regularly to expose 你 to a variety of our many programs, events, and services throughout the year.

San Jose State's Student Wellness Center


There are many ways for the campus community to enage and be well. 健康不是 only about physical and mental health. Learn how to take care of all dimensions of 健康:身体,社会,情感,职业,多元文化,环境, spiritual and intellectual.

Arts and Entertainment

The Provident Credit Union Event Center at San Jose State University.

Provident Credit Union Event Center

上海州立大学的Provident Credit Union活动中心是美国首屈一指的中型场所 加州北部. It has hosted national entertainment acts such as Shawn Mendes, Fifth Harmony, Brand New and Prince Royce. It's also the home of Spartan men's and 女子篮球.

锤剧院 Center located in hte heart of downtown San Jose.

锤剧院 Center

在圣何塞市中心的心脏,锤剧院服务于圣何塞的社区和 通过高质量的节目表达大学的独特特色 and diverse cultures that comprise 硅谷.

音乐 students performing in an auditorium.


从著名的合唱团到摇摆的爵士乐团,音乐学院人声鼎沸 over 20 ensembles and over 120 performances each year.



由一些世界上最好的教师艺术家教,来体验美丽 performances of 菠菜网lol正规平台's dance students!

To Kill a Mockingbird play from the Theatre Arts department.


电影和戏剧通过斯巴达电影工作室创作短片和故事片,一个完整的 舞台制作的季节,以及其他教职员工和学生的制作项目. The department also has a full-time radio station, KSJS 90.5. 

Center For Literary Arts guest author Natalie Baszile and 菠菜网lol正规平台 students.

Center for Literary Arts

CLA提供阅读、讲座、对话和研讨会,让San Jose community to interact with writers of contemporary literature.

Students at the Natalie and James Thompson Art Gallery.

Natalie and James Thompson Art Gallery

专业策划的展览在娜塔莉和詹姆斯·汤普森画廊创造 直接链接到学术课程和探索当代和各种问题 传统艺术.

Students bowling at the Bowling Center in the Student Union.


校园娱乐为学生提供了各种运动和娱乐的机会 校园社区,从校内运动和俱乐部到保龄球中心,健身活动 and outdoor adventures.

硅谷's downtown San Jose.



菠菜网lol正规平台 students enjoying the annual Fire at the Fountain.


从诗歌朗诵到斯巴达家庭游戏,你总能找到事情做 San Jose State that will enrich 你r college experience. Keep up with what’s going on.

Caring for the Spartan Family

菠菜网lol正规平台在乎 staff holds fresh produce offerings from the Spartan Food Pantry.


有一群斯巴达人随时准备为学生提供帮助 课堂外可能影响学业成功的情况和问题. 菠菜网lol正规平台 关怀帮助学生经历不可预见的经济危机,食品和住房不安全.

Rick Becker, '12 Nursing uses adaptive technology.

Accessible 教育 Center

教统会提供全面的服务,支持教育的发展 and success of students with disabilities. 

Annual UPD 安全 Fair took place at the Paseo de Cesar Chavez pathway.


Community safety is a top priority at San Jose State. Learn about all aspects of campus safety, sign up for emergency alerts, report an incident and more.

父母和 家庭计划

父母和 家庭计划

父母和家庭在帮助学生在学业上取得成功方面起着重要的作用 获得学位之路. Get resources and information about how to stay connected and best support 你r child in their educational journey.

student-alumni connections

Student-Alumni 连接s

菠菜网lol正规平台学生-校友关系直接将学生与20万专业人士联系起来 通过斯巴达成功系列网络和职业活动, 奖学金、社会活动、指导、领导机会等等.

Student Jobs and Employment

Alumni, Sandra Deleon at the 职业中心.


菠菜网lol正规平台就业中心激励,授权和连接学生,教育工作者和雇主. 搜索 for jobs, explore possible careers, find a mentor and more.

Call Center student workers at the annual Call Center BBQ.


在校园里从事全职或兼职工作是加深人际关系的好方法 to 你r community while earning m一个y for school. Explore opportunities that excite 你.

Freshman Orientation student leader working through federal work-study.


联邦勤工俭学允许学生在赚钱的同时获得宝贵的工作经验 m一个y to help pay for college. A focus is placed on providing community service jobs both on and off campus.

Child Development Center is a non-profit early education and care program.

Child Development Center

作为联合学生的一部分,疾控中心是一个非营利性的早期教育和护理项目 服务于4个月到5岁的儿童,有110名儿童的执照.